What to do:
Now restate the lines underneath up to the one that holds "2.99,", that line included.
Input:
........
[1]
Material: BiSb2AuI
Method: DFT, PBE
State: optimized geometry

Cell: 5.4831 5.4831 5.4440 Å, 90.00 90.00 90.00°
With the nearest neighbours (Å) after each atom.
Atoms (fractional coordinates):
Bi: 0.0000 0.0000 0.0000  8 Sb 3.86, 4 I 3.88
Sb: 0.0000 0.5000 0.5000  2 Au 2.74
Sb: 0.5000 0.0000 0.5000  2 Au 2.74
Au: 0.5000 0.5000 0.5000  2 I 2.72, 4 Sb 2.74
I: 0.5000 0.5000 0.0000  2 Au 2.72

- E_form (uncorrected): 0.502 eV per atom
- Size of the total moment: 0.000 Bohr magnetons per cell
- SG: No. 123
- Total energy: -2.889 eV/atom

***

[2]
Material: SnBiAu2I
Method: DFT, PBE
State: optimized geometry

Cell: 5.1764 5.1764 6.1551 Å, 90.00 90.00 90.00°
With the nearest neighbours (Å) after each atom.
Atoms (fractional coordinates):
Sn: 0.0000 0.0000 0.0000  4 Au 2.59
Bi: 0.0000 0.0000 0.5000  2 Sn 3.08
Au: 0.0000 0.5000 0.0000  2 Sn 2.59
Au: 0.5000 0.0000 0.0000  2 Sn 2.59
I: 0.5000 0.5000 0.5000  4 Bi 3.66, 8 Au 4.02

- E_form (uncorrected): 0.317 eV per atom
- Size of the total moment: 0.000 Bohr magnetons per cell
- SG: No. 123
- Total energy: -2.881 eV/atom

***

[3]
Material: SnBi2AuI
Method: DFT, PBE
State: optimized geometry

Cell: 5.9201 5.9201 5.8364 Å, 90.00 90.00 90.00°
With the nearest neighbours (Å) after each atom.
Atoms (fractional coordinates):
Sn: 0.0000 0.0000 0.0000  2 I 2.92
Bi: 0.0000 0.5000 0.5000  2 I 2.96
Bi: 0.5000 0.0000 0.5000  2 I 2.96
Au: 0.5000 0.5000 0.0000  8 Bi 4.16, 4 Sn 4.19
I: 0.0000 0.0000 0.5000  2 Sn 2.92, 4 Bi 2.96

- E_form (uncorrected): 1.109 eV per atom
- Size of the total moment: 0.000 Bohr magnetons per cell
- SG: No. 123
- Total energy: -2.209 eV/atom

***

[4]
Material: BiTe2AuI
Method: DFT, PBE
State: optimized geometry

Cell: 5.5302 5.5302 5.4101 Å, 90.00 90.00 90.00°
With the nearest neighbours (Å) after each atom.
Atoms (fractional coordinates):
Bi: 0.0000 0.0000 0.0000  8 Te 3.87, 4 I 3.91
Te: 0.0000 0.5000 0.5000  2 Au 2.77
Te: 0.5000 0.0000 0.5000  2 Au 2.77
Au: 0.5000 0.5000 0.5000  2 I 2.71, 4 Te 2.77
I: 0.5000 0.5000 0.0000  2 Au 2.71

- E_form (uncorrected): 0.339 eV per atom
- Size of the total moment: 0.000 Bohr magnetons per cell
- SG: No. 123
- Total energy: -2.659 eV/atom

***

[5]
Material: BiTe2AuI
Method: DFT, PBE
State: optimized geometry

Cell: 5.9821 5.9821 5.9787 Å, 90.00 90.00 90.00°
With the nearest neighbours (Å) after each atom.
Atoms (fractional coordinates):
Bi: 0.0000 0.0000 0.0000  2 I 2.99, 4 Te 2.99
Te: 0.0000 0.5000 0.0000  2 Bi 2.99
Te: 0.5000 0.0000 0.0000  2 Bi 2.99
Au: 0.5000 0.5000 0.5000  8 Te 4.23, 4 I 4.23
I: 0.0000 0.0000 0.5000  2 Bi 2.99

- E_form (uncorrected): 0.719 eV per atom
- Size of the total moment: 0.000 Bohr magnetons per cell
- SG: No. 123
- Total energy: -2.279 eV/atom

***

[6]
Material: ZrBiAu2I
Method: DFT, PBE
State: optimized geometry

Cell: 5.2181 5.2181 6.0182 Å, 90.00 90.00 90.00°
With the nearest neighbours (Å) after each atom.
Atoms (fractional coordinates):
Zr: 0.0000 0.0000 0.0000  4 Bi 3.69, 8 Au 3.98
Bi: 0.5000 0.5000 0.0000  2 I 3.01
Au: 0.0000 0.5000 0.5000  2 I 2.61
Au: 0.5000 0.0000 0.5000  2 I 2.61
I: 0.5000 0.5000 0.5000  4 Au 2.61

- E_form (uncorrected): 1.072 eV per atom
- Size of the total moment: 1.573 Bohr magnetons per cell
- SG: No. 123
- Total energy: -3.035 eV/atom

~~~~~
........
Outcome:
[1]
Material: BiSb2AuI
Method: DFT, PBE
State: optimized geometry

Cell: 5.4831 5.4831 5.4440 Å, 90.00 90.00 90.00°
With the nearest neighbours (Å) after each atom.
Atoms (fractional coordinates):
Bi: 0.0000 0.0000 0.0000  8 Sb 3.86, 4 I 3.88
Sb: 0.0000 0.5000 0.5000  2 Au 2.74
Sb: 0.5000 0.0000 0.5000  2 Au 2.74
Au: 0.5000 0.5000 0.5000  2 I 2.72, 4 Sb 2.74
I: 0.5000 0.5000 0.0000  2 Au 2.72

- E_form (uncorrected): 0.502 eV per atom
- Size of the total moment: 0.000 Bohr magnetons per cell
- SG: No. 123
- Total energy: -2.889 eV/atom

***

[2]
Material: SnBiAu2I
Method: DFT, PBE
State: optimized geometry

Cell: 5.1764 5.1764 6.1551 Å, 90.00 90.00 90.00°
With the nearest neighbours (Å) after each atom.
Atoms (fractional coordinates):
Sn: 0.0000 0.0000 0.0000  4 Au 2.59
Bi: 0.0000 0.0000 0.5000  2 Sn 3.08
Au: 0.0000 0.5000 0.0000  2 Sn 2.59
Au: 0.5000 0.0000 0.0000  2 Sn 2.59
I: 0.5000 0.5000 0.5000  4 Bi 3.66, 8 Au 4.02

- E_form (uncorrected): 0.317 eV per atom
- Size of the total moment: 0.000 Bohr magnetons per cell
- SG: No. 123
- Total energy: -2.881 eV/atom

***

[3]
Material: SnBi2AuI
Method: DFT, PBE
State: optimized geometry

Cell: 5.9201 5.9201 5.8364 Å, 90.00 90.00 90.00°
With the nearest neighbours (Å) after each atom.
Atoms (fractional coordinates):
Sn: 0.0000 0.0000 0.0000  2 I 2.92
Bi: 0.0000 0.5000 0.5000  2 I 2.96
Bi: 0.5000 0.0000 0.5000  2 I 2.96
Au: 0.5000 0.5000 0.0000  8 Bi 4.16, 4 Sn 4.19
I: 0.0000 0.0000 0.5000  2 Sn 2.92, 4 Bi 2.96

- E_form (uncorrected): 1.109 eV per atom
- Size of the total moment: 0.000 Bohr magnetons per cell
- SG: No. 123
- Total energy: -2.209 eV/atom

***

[4]
Material: BiTe2AuI
Method: DFT, PBE
State: optimized geometry

Cell: 5.5302 5.5302 5.4101 Å, 90.00 90.00 90.00°
With the nearest neighbours (Å) after each atom.
Atoms (fractional coordinates):
Bi: 0.0000 0.0000 0.0000  8 Te 3.87, 4 I 3.91
Te: 0.0000 0.5000 0.5000  2 Au 2.77
Te: 0.5000 0.0000 0.5000  2 Au 2.77
Au: 0.5000 0.5000 0.5000  2 I 2.71, 4 Te 2.77
I: 0.5000 0.5000 0.0000  2 Au 2.71

- E_form (uncorrected): 0.339 eV per atom
- Size of the total moment: 0.000 Bohr magnetons per cell
- SG: No. 123
- Total energy: -2.659 eV/atom

***

[5]
Material: BiTe2AuI
Method: DFT, PBE
State: optimized geometry

Cell: 5.9821 5.9821 5.9787 Å, 90.00 90.00 90.00°
With the nearest neighbours (Å) after each atom.
Atoms (fractional coordinates):
Bi: 0.0000 0.0000 0.0000  2 I 2.99, 4 Te 2.99